LOG 45: Sickness Dwells

-- Next to the entry, the page also holds records of crystals --
+++
Record 1
An optimized crystal structure of KCdNiPb2, computed with PBE-GGA.

Cell: 5.2372 5.2372 5.2256 Å, 90.00 90.00 90.00°
Last column: nearest neighbours and their distance in Å.
Space group P4/mmm (No. 123)
Asymmetric unit:
K 0.0000 0.0000 0.0000 (multiplicity 1)  8 Pb 3.70, 4 Cd 3.70
Cd 0.5000 0.5000 0.0000 (multiplicity 1)  2 Ni 2.61
Ni 0.5000 0.5000 0.5000 (multiplicity 1)  2 Cd 2.61, 4 Pb 2.62
Pb 0.0000 0.5000 0.5000 (multiplicity 2)  2 Ni 2.62

Properties
ΔH_f (0 K) ... 0.026 eV per atom
V ... 28.67 Å³/atom
Mass density ... 7.24 g cm⁻³
Density of states at the Fermi level ... 3.4 states/eV/f.u.
Spin magnetization ... 0.000 μB per cell
Energy ... -3.02 eV per atom

***

Record 2
An optimized crystal structure of Li2TaSb, computed with PBE-GGA.

Cell: 3.4973 4.5947 9.6156 Å, 90.00 90.00 90.00°
Last column: nearest neighbours and their distance in Å.
Space group Cmmm (No. 65)
Asymmetric unit:
Li 0.0000 0.0000 0.2437 (multiplicity 4)  4 Li 2.89, 2 Sb 2.92, 2 Ta 3.02
Ta 0.0000 0.5000 0.5000 (multiplicity 2)  4 Ta 2.89, 4 Li 3.02
Sb 0.0000 0.5000 0.0000 (multiplicity 2)  4 Sb 2.89, 4 Li 2.92

Properties
V ... 19.31 Å³/atom
Energy relative to the elements, uncorrected ... 0.212 eV/atom
Mass density ... 6.80 g cm⁻³
Density of states at the Fermi level ... 2.8 states/eV/f.u.
Spin magnetization ... 0.000 μB per cell
Energy ... -4.74 eV per atom

***

Record 3
An optimized crystal structure of YIn2Ni, computed with PBE-GGA.

Cell: 3.3312 5.2318 10.0104 Å, 90.00 90.00 90.00°
Last column: nearest neighbours and their distance in Å.
Space group Immm (No. 71)
Asymmetric unit:
Y 0.0000 0.0000 0.0000 (multiplicity 2)  4 Ni 3.10, 2 Y 3.33, 8 In 3.34-3.36
In 0.0000 0.5000 0.2111 (multiplicity 4)  2 Ni 2.69
Ni 0.0000 0.0000 0.5000 (multiplicity 2)  4 In 2.69

Properties
ΔH_f (0 K) ... -0.213 eV per atom
V ... 21.81 Å³/atom
Mass density ... 7.18 g cm⁻³
Density of states at the Fermi level ... 2.2 states/eV/f.u.
Spin magnetization ... 0.000 μB per cell
Energy ... -4.64 eV per atom

***

Record 4
An optimized crystal structure of RbTl2Pb2Au, computed with PBE-GGA.

Cell: 5.7288 5.7288 6.6867 Å, 90.00 90.00 90.00°
Last column: nearest neighbours and their distance in Å.
Space group P4/mmm (No. 123)
Asymmetric unit:
Rb 0.0000 0.0000 0.0000 (multiplicity 1)  2 Au 3.34
Tl 0.5000 0.5000 0.2371 (multiplicity 2)  2 Tl 3.17-3.52, 4 Pb 3.36
Pb 0.0000 0.5000 0.5000 (multiplicity 2)  2 Au 2.86
Au 0.0000 0.0000 0.5000 (multiplicity 1)  4 Pb 2.86

Properties
ΔH_f (0 K) ... -0.060 eV per atom
V ... 36.58 Å³/atom
Mass density ... 8.37 g cm⁻³
Density of states at the Fermi level ... 1.9 states/eV/f.u.
Spin magnetization ... 0.000 μB per cell
Energy ... -2.79 eV per atom

***

Record 5
An optimized crystal structure of TiZn2CdBr, computed with PBE-GGA.

Cell: 4.9967 4.9967 5.6956 Å, 90.00 90.00 90.00°
Last column: nearest neighbours and their distance in Å.
Space group P4/mmm (No. 123)
Asymmetric unit:
Ti 0.0000 0.0000 0.0000 (multiplicity 1)  4 Cd 3.53, 8 Zn 3.79
+++

Domino's Perspective:

It was a Monday and I was at my normal routine of being a secretary of Team Rocket's head. However, early morning I woke up, I had noticed most of the lights at the hall my room was at were closed and that there weren't any grunts around except for a single janitor mopping the floors.

I went to him. "Why are the lights still closed? It's already seven."

She shrugged at me. "I don't know."

"What do you mean you don't know?"

"Madam Boss hasn't given any instructions to the personnel responsible for turning them on. No orders, no work." He went about his business and left me behind.

I was stumped. Madam Boss? Though she goes to a cafe to drink her tea, she never misses the orders of turning on the lights throughout the headquarters.

"Hey! I'm not done."

The janitor looked back.

"Please open them for me."

"I only take orders from Madam Boss and no one else."

"I am her secretary and is due in charge whenever she's not around."

"Will I get a payrise?"

"What? A payrise for flipping one switch at the volt?"


"Unreasonable. Go or I'll report you to the head herself."

"Fine. It's not like I'm going to do something for the rest of the day anyway. We've been hiding underneath a manhole for years."

"Team Rocket's only on break, to ease out from previous cases."

He shrugged and continued.

I went to my desk at the control room to do my daily agendas of checking and signing papers but it was without a doubt a surprise to see Madam Boss not yet there. It's usually her who gets here first, except for the time with Charlotte where I discussed with her, her friend.

I assumed she was still busy in that tea session of hers and so I went ahead and did my work as a secretary. Signing papers with a single, perpetual, signature isn't tedious as one might say, but, I do, however, agree that it may get boring. For a high salary, nevertheless, will pay off.

It was already ten in the morning yet Madam Boss was not yet in the control room. My other colleagues working there were also wondering what was happening. She's in the latest she's been and so, I came up with two options. First was to consult her in her room, in the view of the theory she's there, second was to head out and look for wherever she's dining at, checking whether she's dealing with any sort of problems. Madam Boss doesn't have any Pokemon. She abhors them.

I knocked on her door and she answered hoarsely and allowed me to enter. I was relieved but still in a stir of worry. That hoarse throat was a hint she was in a bad condition.

I went inside and noticed she was doing her work on her queen's side bed, a laptop placed atop her lap, a mug of water beside and a tray of three slices of french toast. She was in her sleeping wear with the blue star night cap she always wore and was lying relaxed, covered with a thick woolly blanket and her fluffy, feathery, pillows.

"Oh. You do not prefer to work there, at the control room?" I asked her.

"No. I'll stay here for now."

"Are you alright? You look like you're sick."


I gazed blankly at her.

"I am sick."

"And what events led you up to that point?"

"I do not know, but I have consulted my nurse and will give me the results of my test later within the day. Go and work at the control room. I'll probably head out when I'm feeling much better."

"Okay then. If that suits you Madam Boss."